Finished level five just now!
I was stuck for a while because I kept fighting with the twin Spider Akrids, once I got passed them I was trying to find a way into the fort but I wasn't lucky. Just passed them is a third gun upgrade, but grabbing it and going back just didn't leave me with enough energy to survive the rest of the stage.
So I eventually went about it this way. First I walked all the way to the right passed the Mushroom mid boss to get the second gun upgrade. Then I went all the way to left, around the corner of the frozen lake. Going to the right passed the frozen lake under me there's a division beneath you of wooden stumps. If you keep going right you will fight the two spider bosses. I did better turning the corner at the wooden stumps, going all the way to left, than down to the lowest left part of the screen and then all the way to the right. This means you don't fight the spider bosses and skip the third gun upgrade but you overall have more energy and you should have enough ammo to get you through. The final boss / bosses are a heck of a lot of people piloting mechs, gotta be five or more! After taking them out you still can't get into the base, there's a locked door in front of you. The instructions you get are to talk to some girl and if you walk straight down from the door you can see where she is. As soon as you talk to her the stage comes to a close. Hooray! She gives you a mech and you start off the next level with that, yippee!
-- begin --
Starting from a DFT-relaxed cell (PBE, Alexandria), the PXRD pattern of FeCuC6N8 was computed for a wavelength of 1.5418 Å.

Structure:
```
16
Lattice="0.000 5.096 5.096 5.096 0.000 5.096 5.096 5.096 0.000" Properties=species:S:1:pos:R:3 pbc="T T T"
Fe 0.000 0.000 0.000
Cu 5.096 5.096 5.096
C 5.096 5.096 1.909
C 5.096 1.909 5.096
C 8.282 5.096 5.096
C 1.909 5.096 5.096
C 5.096 8.282 5.096
C 5.096 5.096 8.282
N 2.548 2.548 2.548
N 5.096 5.096 3.079
N 5.096 3.079 5.096
N 7.113 5.096 5.096
N 3.079 5.096 5.096
N 5.096 7.113 5.096
N 5.096 5.096 7.113
N 7.644 7.644 7.644
```

Peak list (6 most intense, 2θ = 10–90°, sorted by position)
Position (°2θ)	I_rel
17.4	100.0
24.7	52.0
35.2	39.7
39.5	24.7
50.7	16.7
57.2	17.5

=====

Starting from a DFT-relaxed cell (PBE, Alexandria), the PXRD pattern of Na2FeCuC6N6 was computed for a wavelength of 1.5418 Å.

Structure:
```
16
Lattice="0.000 5.125 5.125 5.125 0.000 5.125 5.125 5.125 0.000" Properties=species:S:1:pos:R:3 pbc="T T T"
Na 2.563 2.563 2.563
Na 7.688 7.688 7.688
Fe 0.000 0.000 0.000
Cu 5.125 5.125 5.125
C 5.125 5.125 1.869
C 5.125 1.869 5.125
C 8.382 5.125 5.125
C 1.869 5.125 5.125
C 5.125 8.382 5.125
C 5.125 5.125 8.382
N 5.125 5.125 3.049
N 5.125 3.049 5.125
N 7.202 5.125 5.125
N 3.049 5.125 5.125
N 5.125 7.202 5.125
N 5.125 5.125 7.202
```

Peak list (6 most intense, 2θ = 10–90°, sorted by position)
Position (°2θ)	I_rel
17.3	100.0
24.6	86.1
35.0	59.0
43.2	22.0
50.4	26.7
56.8	28.5

=====

Starting from a DFT-relaxed cell (PBE, Alexandria), the PXRD pattern of Na2FeCuC6N6 was computed for a wavelength of 1.5418 Å.

Structure:
```
16
Lattice="6.695 0.000 0.000 0.000 6.008 0.000 -2.349 0.000 6.470" Properties=species:S:1:pos:R:3 pbc="T T T"
Na 0.000 0.000 0.000
Na 2.173 0.000 3.235
Fe -1.174 3.004 3.235
Cu 3.348 0.000 0.000
C -0.525 1.818 4.527
C -0.525 4.190 4.527
C 0.503 3.004 2.340
C 3.843 3.004 4.130
C 4.871 1.818 1.943
C 4.871 4.190 1.943
N -0.113 1.269 5.491
N -0.113 4.739 5.491
N 1.530 3.004 1.757
N 2.817 3.004 4.713
N 4.460 1.269 0.979
N 4.460 4.739 0.979
```

Peak list (6 most intense, 2θ = 10–90°, sorted by position)
Position (°2θ)	I_rel
15.9	67.5
20.2	100.0
20.4	65.0
30.9	23.1
32.2	41.2
41.6	23.0

=====

Starting from a DFT-relaxed cell (PBE, Alexandria), the PXRD pattern of Rb2FeCuC6N6 was computed for a wavelength of 1.5418 Å.

Structure:
```
16
Lattice="0.000 5.155 5.155 5.155 0.000 5.155 5.155 5.155 0.000" Properties=species:S:1:pos:R:3 pbc="T T T"
Rb 2.578 2.578 2.578
Rb 7.733 7.733 7.733
Fe 0.000 0.000 0.000
Cu 5.155 5.155 5.155
C 5.155 5.155 1.877
C 5.155 1.877 5.155
C 8.433 5.155 5.155
C 1.877 5.155 5.155
C 5.155 8.433 5.155
C 5.155 5.155 8.433
N 5.155 5.155 3.058
N 5.155 3.058 5.155
N 7.252 5.155 5.155
N 3.058 5.155 5.155
N 5.155 7.252 5.155
N 5.155 5.155 7.252
```

Peak list (6 most intense, 2θ = 10–90°, sorted by position)
Position (°2θ)	I_rel
24.4	100.0
34.8	43.2
43.0	33.2
50.0	22.7
56.4	26.7
68.1	24.2

=====
-- stop --
End of the crystal structures:
In other news I did get Lost Planet on the PS3 on the day it came out. Heh, I'm starting to see how everything fits together storyline-wise. I've been seeing all of the Akrid in 2D and really small on my cell phone, it's nice to say what they actually were supposed to look like! So those yellow cylinders that we get in the cell phone game that fill our energy back up are markers in the 3D game that light the way? Cool! Wow, we sure are lucky that the cell game aims on it's own and we don't have to try to hit yellow areas on the beasties, it's hard to do on a cell phone!
I think it would of been nice to have included the Bionic Commando-ish hook in the cell phone game, though I'm not sure how you would impliment it since it's 2D and overhead, perhaps something like the hook Link gets in some of the 2D Nintendo DS Zelda games, used to grab things in the distance or to push you over holes. Might of been cool! Ah, it is a cell phone game so I guess can't have it all! :D
Overall having a good time with the Lost Planet experience. It's a nice 3D successor to Capcom's Commando (Commando, Bionic Commando Captain Commando) type of games, I can see a bit of each in the franchise. Though yeah, Commando and Bionic Commando are making comebacks so it will be a great time to shoot things up!
Here the page breaks off for materials data:
........
Structure and calculated PXRD pattern of TbFeMo (a structure optimized by DFT (GGA-PBE); Cu Kα, 1.54184 Å).
Kinematic intensities with the Lorentz-polarization factor, no thermal factor.

Structure:
```
data_TbFeMo
_chemical_formula_sum 'Tb18 Fe18 Mo18'
_cell_length_a 5.3113
_cell_length_b 5.3113
_cell_length_c 40.1966
_cell_angle_alpha 90.00
_cell_angle_beta 90.00
_cell_angle_gamma 120.00
_symmetry_space_group_name_H-M 'R -3 m'
_symmetry_Int_Tables_number 166
_symmetry_space_group_name_Hall '-R 3 2"'
loop_
_atom_site_label
_atom_site_fract_x
_atom_site_fract_y
_atom_site_fract_z
Tb1 0.0000 0.0000 0.0384
Tb2 0.0000 0.0000 0.1808
Tb3 0.0000 0.0000 0.2685
Fe1 0.0000 0.0000 0.3831
Fe2 0.0000 0.0000 0.5000
Fe3 0.0000 0.5000 0.0000
Mo1 0.0026 0.5013 0.7755
```

Largest 12 diffraction maxima, in order of falling intensity, 10 to 90 degrees two-theta:
d_spacing  intensity
2.283  100
2.566  51
2.656  43
2.242  35
2.436  29
1.515  27
1.328  24
2.211  24
1.450  21
1.431  17
1.488  16
2.861  13


Diffraction record for Li3Pu2Au4. The X-ray powder pattern is simulated, not measured: it uses a crystal structure in Alexandria, relaxed with PBE and Cu Ka.
Intensities are scaled so that the largest is 100.

Peak list (10 most intense, 5 to 70 degrees two-theta, by angle)
d 3.485, rel. 91.4
d 2.754, rel. 51.5
d 2.744, rel. 25.2
d 2.594, rel. 100.0
d 2.588, rel. 58.5
d 2.465, rel. 86.3
d 2.343, rel. 89.1
d 2.161, rel. 24.3
d 1.836, rel. 24.6
d 1.619, rel. 24.6

Atomic structure:
```
Li3Pu2Au4
1.0
2.932 -7.787 0.000
2.932 7.787 0.000
0.000 0.000 7.801
Li Pu Au
6 4 8
Direct
0.000 0.000 0.000 Li
0.030 0.470 0.250 Li
0.470 0.030 0.750 Li
0.500 0.500 0.500 Li
0.530 0.970 0.250 Li
0.970 0.530 0.750 Li
0.109 0.891 0.409 Pu
0.391 0.609 0.909 Pu
0.609 0.391 0.091 Pu
0.891 0.109 0.591 Pu
0.185 0.815 0.034 Au
0.197 0.303 0.250 Au
0.303 0.197 0.750 Au
0.315 0.685 0.534 Au
0.685 0.315 0.466 Au
0.697 0.803 0.250 Au
0.803 0.697 0.750 Au
0.815 0.185 0.966 Au
```

Diffraction record for LiPuAu11. The X-ray powder pattern is simulated, not measured: it uses a crystal structure in Alexandria, relaxed with PBE and Cu Ka.
Intensities are scaled so that the largest is 100.

Peak list (10 most intense, 5 to 70 degrees two-theta, by angle)
d 2.746, rel. 68.8
d 2.404, rel. 45.9
d 2.379, rel. 100.0
d 2.359, rel. 52.9
d 2.152, rel. 14.2
d 2.139, rel. 39.0
d 2.118, rel. 22.2
d 2.113, rel. 14.8
d 1.388, rel. 14.1
d 1.372, rel. 22.7

Atomic structure:
```
LiPuAu11
1.0
2.744 -6.823 0.000
2.744 6.823 0.000
-2.724 0.000 6.650
Li Pu Au
1 1 11
Direct
0.000 0.000 0.000 Li
0.500 0.500 0.500 Pu
0.000 0.500 0.500 Au
0.006 0.799 0.282 Au
0.141 0.478 0.144 Au
0.201 0.994 0.718 Au
0.478 0.141 0.144 Au
0.500 0.000 0.500 Au
0.500 0.500 0.000 Au
0.522 0.859 0.856 Au
0.799 0.006 0.282 Au
0.859 0.522 0.856 Au
0.994 0.201 0.718 Au
```

Diffraction record for Li5PuAu4. The X-ray powder pattern is simulated, not measured: it uses a crystal structure in Alexandria, relaxed with PBE and Cu Ka.
........
Now on to level six... :cool:
Currently Playing: Pac-Museum, Phoenix Wright 5
<<<
[1]
For PmHoAgRu, a structure optimized by DFT (GGA-PBE) gives the simulated powder XRD pattern in this record (a wavelength of 1.5418 Å).

Structure:
abc: 3.4508 3.4508 7.6057
angles: 90.00 90.00 90.00
Fractional positions:
1 Pm 0.0000 0.0000 0.0000
2 Ho 0.0000 0.0000 0.5545
3 Ag 0.5000 0.5000 0.2927
4 Ru 0.5000 0.5000 0.7675

Top 10 peaks for 10° ≤ 2θ ≤ 80°, in order of falling intensity:
two_theta  d_spacing  intensity
35.12  2.556  100
36.83  2.440  48
65.25  1.430  32
53.08  1.725  16
61.86  1.500  15
74.22  1.278  9
47.84  1.901  8
44.34  2.043  5
78.38  1.220  5
11.64  7.606  4

=====

[2]
For PmHoAg2S4, a structure optimized by DFT (GGA-PBE) gives the simulated powder XRD pattern in this record (a wavelength of 1.5418 Å).

Structure:
abc: 6.5327 4.0790 7.0528
angles: 90.00 110.50 90.00
Fractional positions:
1 Pm 0.0000 0.0000 0.0000
2 Ho 0.0000 0.5000 0.5000
3 Ag 0.5000 0.0000 0.5000
4 Ag 0.5000 0.5000 0.0000
5 S 0.2424 0.0000 0.7387
6 S 0.2446 0.5000 0.2529
7 S 0.7554 0.5000 0.7471
8 S 0.7576 0.0000 0.2613

Top 10 peaks for 10° ≤ 2θ ≤ 80°, in order of falling intensity:
two_theta  d_spacing  intensity
31.90  2.806  100
44.46  2.038  58
27.10  3.290  54
32.17  2.782  49
47.36  1.920  32
26.99  3.303  27
29.19  3.060  22
55.90  1.645  19
73.86  1.283  16
47.02  1.932  16

=====

Q: Number 2 is which compound?
A: PmHoAg2S4

=====

Q: Number 1 is which compound?
A: PmHoAgRu


Starting from DFT lattice parameters and positions (GGA-PBE), the powder diffraction line list of SnH8N2Cl6 was computed for Cu Kα.
Lines closer than 0.1° are merged.

```
data_SnH8N2Cl6
_chemical_formula_sum 'Sn4 H32 N8 Cl24'
_space_group_name_H-M_alt 'F m -3 m'
_space_group_IT_number 225
_space_group_name_Hall '-F 4 2 3'
_cell_length_a 10.4079
_cell_length_b 10.4079
_cell_length_c 10.4079
_cell_angle_alpha 90.00
_cell_angle_beta 90.00
_cell_angle_gamma 90.00
loop_
_atom_site_label
_atom_site_type_symbol
_atom_site_fract_x
_atom_site_fract_y
_atom_site_fract_z
Sn1 Sn 0.0000 0.0000 0.0000
H1 H 0.1928 0.1928 0.1928
N1 N 0.2500 0.2500 0.2500
Cl1 Cl 0.0000 0.0000 0.2369
```

Principal peaks in the range 10 to 90 degrees two-theta, in order of falling intensity:
d/Å, I (rel.), hkl
6.009, 100, 1 1 1
5.204, 66, 2 0 0
2.602, 63, 4 0 0
3.138, 41, 3 1 1
1.840, 39, 4 4 0
2.327, 37, 4 2 0
2.003, 25, 5 1 1
1.759, 22, 5 3 1


Starting from DFT lattice parameters and positions (GGA-PBE), the powder diffraction line list of Ba3SrBi2Au was computed for Cu Kα.
Lines closer than 0.1° are merged.

```
data_Ba3SrBi2Au
_chemical_formula_sum 'Ba6 Sr2 Bi4 Au2'
_space_group_name_H-M_alt 'I m m m'
_space_group_IT_number 71
_space_group_name_Hall '-I 2 2'
_cell_length_a 5.8186
_cell_length_b 5.8810
_cell_length_c 18.7312
_cell_angle_alpha 90.00
_cell_angle_beta 90.00
_cell_angle_gamma 90.00
loop_
_atom_site_label
_atom_site_type_symbol
_atom_site_fract_x
_atom_site_fract_y
_atom_site_fract_z
Ba1 Ba 0.0000 0.0000 0.0000
Ba2 Ba 0.0000 0.5000 0.1816
Sr1 Sr 0.0000 0.0000 0.5000
>>>
Soon To Be Playing: Bayonetta 2, Super Smash Bros.4